== Source ==
********
Entry from the Open Molecules 2025 dataset: a single C20H23BrN2O3S molecule (the ωB97M-V functional and the def2-TZVPD basis).

```
50
Properties=species:S:1:pos:R:3:forces:R:3:nbo_charge:R:1
C -0.400 -1.893 -6.290 -1.747 3.687 2.005 -0.377
C -1.027 -0.929 -5.478 3.245 -3.417 -3.032 -0.194
C -2.114 -1.323 -4.585 -2.153 0.466 1.405 -0.273
N -1.692 -1.229 -3.125 -0.263 -0.690 -0.661 -0.611
C -2.255 -0.537 -2.099 -0.184 0.393 1.582 0.277
S -3.242 0.737 -2.328 -1.410 1.316 -0.970 -0.265
N -1.946 -0.829 -0.763 1.174 0.177 -0.458 -0.433
C -2.529 -0.149 0.436 0.945 -0.079 -0.135 -0.214
C -1.832 1.107 1.095 -1.169 0.479 -1.300 -0.412
C -0.278 1.072 1.008 -0.801 -0.353 1.093 -0.128
C 0.086 1.613 -0.412 3.563 0.749 0.657 -0.207
C 1.256 2.392 -0.488 -1.938 -0.717 -1.138 -0.175
C 2.115 2.795 0.692 -0.398 1.065 0.434 0.054
O 2.818 4.078 0.413 -0.084 -1.126 -0.931 -0.758
C 1.168 3.085 1.837 -0.170 -1.031 0.225 -0.424
C 0.360 1.842 2.255 0.451 2.153 -1.944 0.124
O 1.246 1.027 2.962 0.571 -2.414 0.106 -0.513
C 1.199 -0.273 2.389 -2.183 2.303 0.755 0.271
C 1.728 -1.426 2.909 -0.437 1.842 -0.264 0.240
O 2.416 -1.601 3.979 2.036 -0.505 4.037 -0.481
C 2.181 -0.707 5.094 3.756 -0.286 -0.819 -0.249
C 1.575 -2.551 2.230 -0.700 -3.713 -2.454 -0.274
C 0.759 -2.685 1.147 -0.715 1.109 -1.516 -0.020
Br 0.980 -4.369 0.068 -0.537 1.552 0.975 0.006
C -0.002 -1.546 0.725 0.715 -0.771 -0.450 0.006
C 0.235 -0.321 1.394 0.598 -1.309 -1.898 -0.086
C -0.738 -1.662 -0.588 -1.526 0.278 0.949 -0.270
H 0.438 -1.650 -6.947 -0.355 -0.179 0.241 0.207
H -0.904 -2.815 -6.311 -0.025 -1.452 -0.250 0.183
H -0.528 0.019 -5.524 -0.442 0.728 0.625 0.215
H -3.039 -0.753 -4.776 0.652 0.709 0.680 0.254
H -2.593 -2.307 -4.817 1.313 0.085 0.368 0.212
H -1.015 -1.926 -2.888 0.126 -0.363 0.005 0.394
H -2.611 -0.906 1.211 0.209 -0.340 -0.031 0.200
H -3.520 0.114 0.175 -0.940 0.350 -0.277 0.245
H -2.345 1.250 2.099 1.136 -0.431 -0.860 0.223
H -2.150 2.011 0.502 0.209 -0.765 0.505 0.229
H -0.486 1.238 -1.318 0.686 0.899 1.351 0.250
H 1.605 2.881 -1.422 -0.504 -0.685 0.392 0.230
H 2.820 1.943 0.936 -0.423 1.160 -0.125 0.194
H 3.055 4.684 1.145 -0.613 -1.309 -0.086 0.485
H 1.823 3.443 2.627 -0.478 0.044 0.661 0.213
H 0.395 3.810 1.592 0.449 0.516 -0.402 0.217
H -0.447 2.259 2.846 -0.230 -0.622 0.700 0.185
H 2.637 -1.127 6.039 -0.354 0.301 -1.364 0.200
H 2.749 0.157 4.698 -0.780 0.365 1.392 0.203
H 1.167 -0.587 5.221 -2.288 0.691 0.285 0.183
H 2.073 -3.449 2.525 0.455 -0.197 0.592 0.240
H -0.081 -1.331 -1.365 0.874 -0.290 -0.507 0.206
H -1.107 -2.676 -0.721 0.683 -0.373 -0.149 0.219
```
Positions in Å, forces in eV/Å.

- M: 451.4 u
- Maximum force: 5.6 eV/Å
- HOMO-LUMO gap: 8.46 eV
- Energy relative to the best compared isomer or geometry (same formula, charge and spin): 3.878 eV
- SMILES: C=CCNC(=S)N1CC[C@@]23C=C[C@@H](O)C[C@@H]2Oc2c(OC)cc(Br)c(c23)C1

---

Entry from the Open Molecules 2025 dataset: a single C20H23BrN2O4 molecule (the ωB97M-V functional and the def2-TZVPD basis).

```
50
Properties=species:S:1:pos:R:3:forces:R:3:nbo_charge:R:1
C -5.544 0.479 0.135 0.273 -0.330 -0.097 -0.636
C -5.206 -0.925 -0.341 -0.425 0.248 -0.271 -0.076
O -3.900 -1.324 0.090 0.047 -0.183 0.300 -0.504
C -2.870 -0.968 -0.671 0.312 -0.011 0.012 0.794
O -2.946 -0.327 -1.686 -0.088 -0.062 -0.082 -0.614
C -1.561 -1.531 -0.129 -0.110 -0.009 -0.165 -0.325
N -0.397 -0.777 -0.552 -0.154 -0.012 -0.148 -0.635
C -0.043 0.349 0.325 -0.028 0.034 0.066 -0.085
C -1.129 1.403 0.331 -0.047 -0.042 0.180 -0.063
C -1.439 2.093 -0.837 -0.030 0.049 0.110 -0.138
C -2.464 3.019 -0.852 0.076 -0.015 -0.107 -0.222
C -3.193 3.267 0.300 -0.030 0.057 0.135 -0.214
C -2.894 2.583 1.465 -0.143 0.135 0.032 -0.211
C -1.869 1.652 1.478 0.128 -0.060 -0.084 -0.213
C 1.328 0.907 -0.034 0.051 -0.109 -0.010 -0.076
C 1.538 2.276 0.010 0.224 0.138 -0.064 -0.165
C 2.787 2.809 -0.253 0.029 0.208 0.038 -0.117
Br 3.020 4.699 -0.185 -0.009 -0.151 -0.009 0.039
C 3.858 1.993 -0.559 -0.201 0.140 0.069 -0.218
********

== Assignment ==
Next, repeat the lines further up from the one with "-0.513" to the one with "-0.837 -0.030" character by character.

== Completed ==
O 1.246 1.027 2.962 0.571 -2.414 0.106 -0.513
C 1.199 -0.273 2.389 -2.183 2.303 0.755 0.271
C 1.728 -1.426 2.909 -0.437 1.842 -0.264 0.240
O 2.416 -1.601 3.979 2.036 -0.505 4.037 -0.481
C 2.181 -0.707 5.094 3.756 -0.286 -0.819 -0.249
C 1.575 -2.551 2.230 -0.700 -3.713 -2.454 -0.274
C 0.759 -2.685 1.147 -0.715 1.109 -1.516 -0.020
Br 0.980 -4.369 0.068 -0.537 1.552 0.975 0.006
C -0.002 -1.546 0.725 0.715 -0.771 -0.450 0.006
C 0.235 -0.321 1.394 0.598 -1.309 -1.898 -0.086
C -0.738 -1.662 -0.588 -1.526 0.278 0.949 -0.270
H 0.438 -1.650 -6.947 -0.355 -0.179 0.241 0.207
H -0.904 -2.815 -6.311 -0.025 -1.452 -0.250 0.183
H -0.528 0.019 -5.524 -0.442 0.728 0.625 0.215
H -3.039 -0.753 -4.776 0.652 0.709 0.680 0.254
H -2.593 -2.307 -4.817 1.313 0.085 0.368 0.212
H -1.015 -1.926 -2.888 0.126 -0.363 0.005 0.394
H -2.611 -0.906 1.211 0.209 -0.340 -0.031 0.200
H -3.520 0.114 0.175 -0.940 0.350 -0.277 0.245
H -2.345 1.250 2.099 1.136 -0.431 -0.860 0.223
H -2.150 2.011 0.502 0.209 -0.765 0.505 0.229
H -0.486 1.238 -1.318 0.686 0.899 1.351 0.250
H 1.605 2.881 -1.422 -0.504 -0.685 0.392 0.230
H 2.820 1.943 0.936 -0.423 1.160 -0.125 0.194
H 3.055 4.684 1.145 -0.613 -1.309 -0.086 0.485
H 1.823 3.443 2.627 -0.478 0.044 0.661 0.213
H 0.395 3.810 1.592 0.449 0.516 -0.402 0.217
H -0.447 2.259 2.846 -0.230 -0.622 0.700 0.185
H 2.637 -1.127 6.039 -0.354 0.301 -1.364 0.200
H 2.749 0.157 4.698 -0.780 0.365 1.392 0.203
H 1.167 -0.587 5.221 -2.288 0.691 0.285 0.183
H 2.073 -3.449 2.525 0.455 -0.197 0.592 0.240
H -0.081 -1.331 -1.365 0.874 -0.290 -0.507 0.206
H -1.107 -2.676 -0.721 0.683 -0.373 -0.149 0.219
```
Positions in Å, forces in eV/Å.

- M: 451.4 u
- Maximum force: 5.6 eV/Å
- HOMO-LUMO gap: 8.46 eV
- Energy relative to the best compared isomer or geometry (same formula, charge and spin): 3.878 eV
- SMILES: C=CCNC(=S)N1CC[C@@]23C=C[C@@H](O)C[C@@H]2Oc2c(OC)cc(Br)c(c23)C1

---

Entry from the Open Molecules 2025 dataset: a single C20H23BrN2O4 molecule (the ωB97M-V functional and the def2-TZVPD basis).

```
50
Properties=species:S:1:pos:R:3:forces:R:3:nbo_charge:R:1
C -5.544 0.479 0.135 0.273 -0.330 -0.097 -0.636
C -5.206 -0.925 -0.341 -0.425 0.248 -0.271 -0.076
O -3.900 -1.324 0.090 0.047 -0.183 0.300 -0.504
C -2.870 -0.968 -0.671 0.312 -0.011 0.012 0.794
O -2.946 -0.327 -1.686 -0.088 -0.062 -0.082 -0.614
C -1.561 -1.531 -0.129 -0.110 -0.009 -0.165 -0.325
N -0.397 -0.777 -0.552 -0.154 -0.012 -0.148 -0.635
C -0.043 0.349 0.325 -0.028 0.034 0.066 -0.085
C -1.129 1.403 0.331 -0.047 -0.042 0.180 -0.063
C -1.439 2.093 -0.837 -0.030 0.049 0.110 -0.138